[Listing]
[1]
# Sm2Cu2O5
Computed PXRD pattern, Cu Kα X-rays. Input: a crystal structure in the Materials Project, relaxed with GGA-PBE.
Lines closer than 0.1° are merged.

```
Sm2Cu2O5
1.0
-7.8122 2.7856 2.6313
7.8122 -2.7856 2.6313
7.8122 2.7856 -2.6313
Sm Cu O
4 4 10
Cartesian
1.7764 0.0951 0.0000
6.0358 0.0951 0.0000
1.7764 2.6905 2.6313
6.0358 2.6905 2.6313
3.9061 -0.1899 2.7524
0.0000 0.0000 2.5786
7.8122 0.0000 2.5786
3.9061 2.9755 0.1211
11.7183 0.4888 -0.3849
2.1049 2.3681 -0.2100
5.7073 2.3681 -0.2100
-0.2829 1.4274 1.2966
8.0952 1.4274 1.2966
2.1049 0.4175 2.4213
5.7073 0.4175 2.4213
-3.9061 2.2968 2.2464
0.2829 4.1438 1.2966
-0.2829 1.3582 3.9279
```

Main lines, sorted by position (10 to 90 degrees two-theta):
2θ = 23.3°, I 16
2θ = 32.1°, I 31
2θ = 32.8°, I 100
2θ = 34.1°, I 30
2θ = 46.5°, I 13
2θ = 47.5°, I 26
2θ = 57.7°, I 30
2θ = 58.9°, I 10
2θ = 60.2°, I 18
2θ = 68.7°, I 14

***

[2]
# Cr2CuS4
Computed PXRD pattern, Cu Kα X-rays. Input: a crystal structure in the Materials Project, relaxed with GGA-PBE.
Lines closer than 0.1° are merged.

```
Cr2CuS4
1.0
11.9576 0.0000 0.0000
0.0000 6.9504 0.0000
0.0000 0.0000 5.6320
Cr Cu S
8 4 16
Cartesian
0.0000 0.0000 0.0000
0.0000 3.4752 0.0000
2.9228 1.7376 2.7027
3.0560 5.2128 5.5187
5.9788 0.0000 2.8160
5.9788 3.4752 2.8160
8.9016 1.7376 0.1133
9.0348 5.2128 2.9292
1.0920 5.2128 3.3864
4.8868 1.7376 0.5704
7.0708 5.2128 5.0615
10.8656 1.7376 2.2455
0.9866 1.7376 1.3398
1.0486 5.2128 1.1726
2.0301 0.0603 4.3198
2.0301 3.4149 4.3198
3.9487 3.5355 1.5038
3.9487 6.8901 1.5038
4.9302 1.7376 3.9885
4.9922 5.2128 4.1557
6.9654 1.7376 1.4762
7.0274 5.2128 1.6434
8.0089 0.0603 4.1281
8.0089 3.4149 4.1281
9.9275 3.5355 1.3122
9.9275 6.8901 1.3122
10.9090 1.7376 4.4594
10.9710 5.2128 4.2922
```

Main lines, sorted by position (10 to 90 degrees two-theta):
2θ = 19.6°, I 46
2θ = 21.6°, I 31
2θ = 30.3°, I 100
2θ = 31.2°, I 83
2θ = 33.8°, I 40
2θ = 44.1°, I 82
2θ = 44.2°, I 36
2θ = 52.7°, I 42
2θ = 53.0°, I 80
2θ = 58.0°, I 49

***

Question: Which formula does entry 1 have?
Answer: Sm2Cu2O5

~~~~~

No. 1
Computed XRD peak list
Compound: Th5Fe2
Radiation: a wavelength of 1.5418 Å
Structure: a crystal structure in Alexandria, relaxed with GGA-PBE

Unit cell a=8.896 b=8.896 c=6.991 alpha=94.47 beta=94.47 gamma=41.46
Sites, in units of the cell vectors:
Th1 0.080 0.920 0.750
Th2 0.137 0.289 0.334
Th3 0.289 0.137 0.834
Th4 0.318 0.493 0.094
Th5 0.493 0.318 0.594
Th6 0.507 0.682 0.406
Th7 0.682 0.507 0.906
Th8 0.711 0.863 0.166
Th9 0.863 0.711 0.666
Th10 0.920 0.080 0.250
Fe1 0.090 0.699 0.407
Fe2 0.301 0.910 0.093
Fe3 0.699 0.090 0.907
Fe4 0.910 0.301 0.593

The 10 most intense peaks (2θ from 10° to 80°), sorted by position:
| 2theta | intensity |
| --- | --- |
| 29.41 | 29 |
| 30.46 | 100 |
| 31.17 | 55 |
| 32.20 | 32 |
| 32.50 | 37 |
| 32.68 | 19 |
| 33.40 | 22 |
| 34.02 | 20 |
| 34.63 | 42 |
| 59.28 | 24 |

***

No. 2
Computed XRD peak list
Compound: ThFe4
Radiation: a wavelength of 1.5418 Å
Structure: a crystal structure in Alexandria, relaxed with GGA-PBE

Unit cell a=4.658 b=4.658 c=4.658 alpha=90.00 beta=90.00 gamma=90.00
Sites, in units of the cell vectors:
Th1 0.000 0.000 0.000
Fe1 0.000 0.000 0.500
Fe2 0.000 0.500 0.000
Fe3 0.500 0.000 0.000
Fe4 0.500 0.500 0.500

The 10 most intense peaks (2θ from 10° to 80°), sorted by position:
| 2theta | intensity |
| --- | --- |
| 19.05 | 100 |
| 27.07 | 87 |
| 38.66 | 73 |
| 43.45 | 50 |
| 47.84 | 38 |
| 55.83 | 48 |
| 59.55 | 25 |
| 63.12 | 17 |
| 69.97 | 16 |
| 76.53 | 20 |

***

No. 3
Computed XRD peak list
Compound: ThFe11
Radiation: a wavelength of 1.5418 Å
Structure: a crystal structure in Alexandria, relaxed with GGA-PBE

Unit cell a=7.807 b=7.807 c=7.807 alpha=99.81 beta=99.81 gamma=131.23
Sites, in units of the cell vectors:
Th1 0.375 0.625 0.750
Th2 0.625 0.375 0.250
Fe1 0.000 0.000 0.000
Fe2 0.000 0.000 0.500
Fe3 0.000 0.500 0.000
Fe4 0.125 0.875 0.250
Fe5 0.139 0.561 0.329
Fe6 0.139 0.810 0.578
Fe7 0.190 0.268 0.329

[Assignment]
It remains to give back everything further above without additions.

[Result]
[1]
# Sm2Cu2O5
Computed PXRD pattern, Cu Kα X-rays. Input: a crystal structure in the Materials Project, relaxed with GGA-PBE.
Lines closer than 0.1° are merged.

```
Sm2Cu2O5
1.0
-7.8122 2.7856 2.6313
7.8122 -2.7856 2.6313
7.8122 2.7856 -2.6313
Sm Cu O
4 4 10
Cartesian
1.7764 0.0951 0.0000
6.0358 0.0951 0.0000
1.7764 2.6905 2.6313
6.0358 2.6905 2.6313
3.9061 -0.1899 2.7524
0.0000 0.0000 2.5786
7.8122 0.0000 2.5786
3.9061 2.9755 0.1211
11.7183 0.4888 -0.3849
2.1049 2.3681 -0.2100
5.7073 2.3681 -0.2100
-0.2829 1.4274 1.2966
8.0952 1.4274 1.2966
2.1049 0.4175 2.4213
5.7073 0.4175 2.4213
-3.9061 2.2968 2.2464
0.2829 4.1438 1.2966
-0.2829 1.3582 3.9279
```

Main lines, sorted by position (10 to 90 degrees two-theta):
2θ = 23.3°, I 16
2θ = 32.1°, I 31
2θ = 32.8°, I 100
2θ = 34.1°, I 30
2θ = 46.5°, I 13
2θ = 47.5°, I 26
2θ = 57.7°, I 30
2θ = 58.9°, I 10
2θ = 60.2°, I 18
2θ = 68.7°, I 14

***

[2]
# Cr2CuS4
Computed PXRD pattern, Cu Kα X-rays. Input: a crystal structure in the Materials Project, relaxed with GGA-PBE.
Lines closer than 0.1° are merged.

```
Cr2CuS4
1.0
11.9576 0.0000 0.0000
0.0000 6.9504 0.0000
0.0000 0.0000 5.6320
Cr Cu S
8 4 16
Cartesian
0.0000 0.0000 0.0000
0.0000 3.4752 0.0000
2.9228 1.7376 2.7027
3.0560 5.2128 5.5187
5.9788 0.0000 2.8160
5.9788 3.4752 2.8160
8.9016 1.7376 0.1133
9.0348 5.2128 2.9292
1.0920 5.2128 3.3864
4.8868 1.7376 0.5704
7.0708 5.2128 5.0615
10.8656 1.7376 2.2455
0.9866 1.7376 1.3398
1.0486 5.2128 1.1726
2.0301 0.0603 4.3198
2.0301 3.4149 4.3198
3.9487 3.5355 1.5038
3.9487 6.8901 1.5038
4.9302 1.7376 3.9885
4.9922 5.2128 4.1557
6.9654 1.7376 1.4762
7.0274 5.2128 1.6434
8.0089 0.0603 4.1281
8.0089 3.4149 4.1281
9.9275 3.5355 1.3122
9.9275 6.8901 1.3122
10.9090 1.7376 4.4594
10.9710 5.2128 4.2922
```

Main lines, sorted by position (10 to 90 degrees two-theta):
2θ = 19.6°, I 46
2θ = 21.6°, I 31
2θ = 30.3°, I 100
2θ = 31.2°, I 83
2θ = 33.8°, I 40
2θ = 44.1°, I 82
2θ = 44.2°, I 36
2θ = 52.7°, I 42
2θ = 53.0°, I 80
2θ = 58.0°, I 49

***

Question: Which formula does entry 1 have?
Answer: Sm2Cu2O5

~~~~~

No. 1
Computed XRD peak list
Compound: Th5Fe2
Radiation: a wavelength of 1.5418 Å
Structure: a crystal structure in Alexandria, relaxed with GGA-PBE

Unit cell a=8.896 b=8.896 c=6.991 alpha=94.47 beta=94.47 gamma=41.46
Sites, in units of the cell vectors:
Th1 0.080 0.920 0.750
Th2 0.137 0.289 0.334
Th3 0.289 0.137 0.834
Th4 0.318 0.493 0.094
Th5 0.493 0.318 0.594
Th6 0.507 0.682 0.406
Th7 0.682 0.507 0.906
Th8 0.711 0.863 0.166
Th9 0.863 0.711 0.666
Th10 0.920 0.080 0.250
Fe1 0.090 0.699 0.407
Fe2 0.301 0.910 0.093
Fe3 0.699 0.090 0.907
Fe4 0.910 0.301 0.593

The 10 most intense peaks (2θ from 10° to 80°), sorted by position:
| 2theta | intensity |
| --- | --- |
| 29.41 | 29 |
| 30.46 | 100 |
| 31.17 | 55 |
| 32.20 | 32 |
| 32.50 | 37 |
| 32.68 | 19 |
| 33.40 | 22 |
| 34.02 | 20 |
| 34.63 | 42 |
| 59.28 | 24 |

***

No. 2
Computed XRD peak list
Compound: ThFe4
Radiation: a wavelength of 1.5418 Å
Structure: a crystal structure in Alexandria, relaxed with GGA-PBE

Unit cell a=4.658 b=4.658 c=4.658 alpha=90.00 beta=90.00 gamma=90.00
Sites, in units of the cell vectors:
Th1 0.000 0.000 0.000
Fe1 0.000 0.000 0.500
Fe2 0.000 0.500 0.000
Fe3 0.500 0.000 0.000
Fe4 0.500 0.500 0.500

The 10 most intense peaks (2θ from 10° to 80°), sorted by position:
| 2theta | intensity |
| --- | --- |
| 19.05 | 100 |
| 27.07 | 87 |
| 38.66 | 73 |
| 43.45 | 50 |
| 47.84 | 38 |
| 55.83 | 48 |
| 59.55 | 25 |
| 63.12 | 17 |
| 69.97 | 16 |
| 76.53 | 20 |

***

No. 3
Computed XRD peak list
Compound: ThFe11
Radiation: a wavelength of 1.5418 Å
Structure: a crystal structure in Alexandria, relaxed with GGA-PBE

Unit cell a=7.807 b=7.807 c=7.807 alpha=99.81 beta=99.81 gamma=131.23
Sites, in units of the cell vectors:
Th1 0.375 0.625 0.750
Th2 0.625 0.375 0.250
Fe1 0.000 0.000 0.000
Fe2 0.000 0.000 0.500
Fe3 0.000 0.500 0.000
Fe4 0.125 0.875 0.250
Fe5 0.139 0.561 0.329
Fe6 0.139 0.810 0.578
Fe7 0.190 0.268 0.329